- Growers: Brendan and Melinda Weir; Kevin and Pat Weir
- Farm name: “Koorinya Farm”
- Location: Tenindewa, Western Australia
- Business enterprise: 100 per cent continuous cropping
- Property size: 3500 hectares arable
- Soil types: 80 per cent red loam, 20 per cent sand
- Soil pH: from 4.5 to 6.5
- Average annual rainfall: approximately 275 millimetres.
For 20 years, Tenindewa growers Brendan and Kevin Weir have painstakingly documented every weed control move they have made in what they call their “gravel pit” paddock.
The Weirs are one of 27 grain growing businesses in Western Australia’s northern agricultural region that have been part of a groundbreaking weed control research project with GRDC investment driven by WeedSmart’s Peter Newman.
By tracking weed control strategies in this focus paddock, combined with monitoring weed plant numbers over two decades, the Weirs have been part of an important pool of research information that will allow researchers and growers across Australia to implement more effective weed control management practices in the future.
As with the other 26 focus paddocks that have been part of the landmark project, the documented history of the “gravel pit” paddock makes for an interesting look back at how farming practices have changed.
“Before I went back through all the data and my documented management strategies, I thought we had not really changed our farming practices much over the past two decades, but now I can see we are doing things very differently,” Brendan says.
“This focus paddock is indicative of the changes we have made across the entire business.”
The Weirs farm at Tenindewa, near Mullewa in WA’s northern grain growing region, where annual rainfall is about 275 millimetres, with season breaks often in late May or even early June.
Brendan farms 3500 hectares with his wife Melinda and parents Kevin and Pat Weir. Two-thirds of their rotation is cereals and one-third is lupins and canola.
Weeds have been a major challenge for the business, as they are for many grain businesses in the region. Where once brome grass and ryegrass used to be the biggest headache, now wild radish has become the focus of the Weir’s weed management program.
Occasionally a paddock is left to fallow, but Brendan says this is only a strategy to control weeds, not to preserve moisture for the following year, given the sandy soil types across large percentages of the farm.
“I have found fallow works best only on the better soil types, and those are the soil types I will always put into crop,” he says.
“Fallow on the poorer soils – the sandier patches – does not do much for maintaining the moisture because of the soil type, so we would only use this as a way of controlling everything growing in that paddock in preparation for the next season.”
When this paddock survey project began in 2001, Brendan says his business had only trialled canola once as part of the rotation, his machinery did not have GPS guidance, there were no Clearfield® varieties on the market and trifluralin was not commonly used as a pre-emergent .
Sheep were also still a part of his mix.
Spring ryegrass plant counts in the focus paddock in 2001 and in 2002 showed 20 and 55 plants per square metre respectively.
“Once we saw those numbers we became a lot more ruthless in making sure we got as many weeds out of the system as we could,” Brendan says.
Figure 1. The Weirs’ “gravel pit” paddock was one of 27 focus paddocks in the survey overseen by WeedSmart’s Peter Newman. Note: 2018 ryegrass blow out was not captured in this graph because the long term plant collection point was in a different area of the paddock.
“Thinking back, in the early 2000s we had just come off the back of a run of good years in the late 1990s, which allowed us to get good knockdowns before seeding, and we were not relying as heavily then on post-emergent applications.
“As a result, I think the weed seed numbers had been slowly building up over those years, and by 2001 and 2002 it became obvious we needed to do something more in terms of weed control.”
New chemistries
Brendan says the most significant turning point in the past two decades in regard to weed control was when the business introduced trifluralin as a blanket application into the seeding rotation.
“We first used trifluralin in a big way in 2002 and, by 2003, our ryegrass plant numbers dropped from 55 plants/m2 to almost zero – and have stayed low ever since,” he says.
“We made the decision to attack the weeds aggressively and it is a strategy that has worked well for us.”
[Between two parts of the piece: materials data]
~~~
This record from Alexandria via LeMat-Bulk describes a relaxed ZrMn2Fe2 crystal. The functional is GGA-PBE.

a b c (Å): 3.784 3.784 9.340
angles (deg): 90.00 90.00 90.00
Element x y z (fractional)
Zr  0.000  0.000  0.000
Zr  0.500  0.500  0.500
Mn  0.000  0.000  0.387
Mn  0.000  0.000  0.613
Mn  0.500  0.500  0.113
Mn  0.500  0.500  0.887
Fe  0.000  0.500  0.250
Fe  0.000  0.500  0.750
Fe  0.500  0.000  0.250
Fe  0.500  0.000  0.750

Results
The calculation puts the relative energy among the computed polymorphs at 0.001 eV per atom.

This record from Alexandria via LeMat-Bulk describes a relaxed Ho6TmSc12 crystal. The functional is GGA-PBE.

a b c (Å): 8.047 8.047 8.047
angles (deg): 84.76 84.76 84.76
Element x y z (fractional)
Ho  0.272  0.272  0.702
Ho  0.272  0.702  0.272
Ho  0.298  0.728  0.728
Ho  0.702  0.272  0.272
Ho  0.728  0.298  0.728
Ho  0.728  0.728  0.298
Tm  0.500  0.500  0.500
Sc  0.006  0.006  0.698
Sc  0.006  0.698  0.006
Sc  0.058  0.369  0.369
Sc  0.302  0.994  0.994
Sc  0.369  0.058  0.369
Sc  0.369  0.369  0.058
Sc  0.631  0.631  0.942
Sc  0.631  0.942  0.631
Sc  0.698  0.006  0.006
Sc  0.942  0.631  0.631
Sc  0.994  0.302  0.994
Sc  0.994  0.994  0.302

Results
The total DFT energy (no corrections) comes out at -5.511 eV/atom.

This record from Alexandria via LeMat-Bulk describes a relaxed LaGeOs crystal. The functional is GGA-PBE.

a b c (Å): 4.393 4.308 7.336
angles (deg): 90.00 90.52 90.00
Element x y z (fractional)
La  0.000  0.000  0.000
La  0.000  0.500  0.500
Ge  0.493  0.000  0.676
Ge  0.507  0.000  0.324
Os  0.473  0.500  0.161
Os  0.527  0.500  0.839

Results
The total DFT energy (no corrections) comes out at -7.309 eV/atom.

This record from Alexandria via LeMat-Bulk describes a relaxed Pm2NdAu crystal. The functional is GGA-PBE.

a b c (Å): 3.833 12.525 10.042
angles (deg): 90.00 90.00 90.00
Element x y z (fractional)
Pm  0.000  0.135  0.050
Pm  0.000  0.135  0.450
Pm  0.000  0.865  0.550
Pm  0.000  0.865  0.950
Pm  0.500  0.365  0.550
Pm  0.500  0.365  0.950
Pm  0.500  0.635  0.050
Pm  0.500  0.635  0.450
Nd  0.000  0.438  0.250
Nd  0.000  0.562  0.750
Nd  0.500  0.062  0.750
Nd  0.500  0.938  0.250
Au  0.000  0.263  0.750
Au  0.000  0.737  0.250
Au  0.500  0.237  0.250
Au  0.500  0.763  0.750

Results
The calculation puts the relative energy among the computed polymorphs at 0.000 eV per atom.

* * * * *

Density functional theory data (PBE-GGA) for crystalline Sr3Li4In2 at its relaxed geometry.

## Properties
The total energy comes out at -20.24 eV per formula unit.

abc: 11.501 5.016 9.602
angles: 90.00 104.20 90.00
Space group C2/m (No. 12)
Asymmetric unit:
Sr 0.000 0.000 0.000 [2 per cell]
Sr 0.121 0.500 0.375 [4 per cell]
Li 0.095 0.000 0.659 [4 per cell]
Li 0.229 0.500 0.067 [4 per cell]
In 0.202 0.500 0.762 [4 per cell]


Density functional theory data (PBE-GGA) for crystalline Sr6LiIn2 at its relaxed geometry.

## Properties
The total energy comes out at -19.01 eV per formula unit.
~~~
With later breaks to the season, he says, there have been fewer opportunities in recent years to apply a glyphosate knockdown, meaning a greater reliance on in-season herbicide applications.
Brendan Weir says his business practices in regard to weed control have changed significantly over the last two decades. Photo: Evan Collis
Acknowledging the resistance issues that come with an over-reliance on one active chemistry, Brendan says the business now also rotates and mixes pre-emergent applications with both the Group K active pyroxasulfone, found in Sakura®, specifically for grass control; and the Group J and K product Boxer Gold®.
“The reliance on chemicals does concern me and, like most other growers in WA, we are seeing some resistance to Group C and Group I chemistries, so we know the answer is to keep mixing up our attack to keep on top of the weeds,” he says.
Wild radish is now arguably more of a threat to continuous cropping in the region than either brome grass or ryegrass and, in 2011, the Weirs introduced the post-emergent Group H and C herbicide (pyrasulfotole plus bromoxynil) found in the product Velocity® into their program.
“Interestingly, what we were finding when using Velocity® was the smaller radish plants that were part of a clump of plants were being protected and overshadowed by the larger radish plants. They were surviving, simply because they were not being directly contacted by the chemical,” Brendan says.
“So, again, we had to mix up our response to this to achieve a blanket control and we introduced Jaguar® (Group C and F) as an early post-emergent application, which so far appears to be working well.”
Harvest weed seed control
For their first foray into harvest weed seed control, the Weirs began narrow windrow burning their lupin paddocks, but with sheep still on the property until 2006, this was not as effective as it could have been in the early days.
“We sold all the sheep in 2007 after two of the worst droughts we had ever seen,” Brendan says.
“It had got to the point where we had been reducing numbers steadily and they were no longer a major part of the rotation, so it was not a major issue, but it allowed us to implement some more effective harvest weed seed control measures.”
Once the sheep were out of the system, the Weirs were able to narrow windrow burn most of their paddocks every year, taking a significant amount of weed seeds out of their system.
The Weirs continued this practice until 2018, when they believed they had weed seed numbers under control.
Misplaced records of crystals:
- - -
A geometry-optimized TiBrNF2 structure, computed with GGA-PBE.

a b c (Å): 4.8447 4.8447 3.7102
angles (deg): 90.00 90.00 90.00
Fractional coordinates of all 5 atoms:
Ti 0.0000 0.0000 0.0000
Br 0.5000 0.5000 0.5000
N 0.5000 0.5000 0.0000
F 0.0000 0.5000 0.5000
F 0.5000 0.0000 0.5000

Results
Symmetry: P4/mmm, No. 123
D(E_F): 5.4 states/eV per cell
Mass density: 3.428 g/cm3
E: -19.4 eV per cell
M_tot: 2.2 μB/cell
Uncorrected formation energy: 2.203 eV/f.u.

=====

1.
# PmNdSeCl PBE-GGA relaxed
# raw formation energy: -1.4579 eV/atom
# DOS at the Fermi energy: 3.40 states/eV per cell
# SG: F-43m
data_PmNdSeCl
_chemical_formula_sum 'Pm1 Nd1 Se1 Cl1'
_cell_length_a 5.093
_cell_length_b 5.093
_cell_length_c 5.093
_cell_angle_alpha 60.00
_cell_angle_beta 60.00
_cell_angle_gamma 60.00
_symmetry_space_group_name_H-M 'P 1'
_symmetry_Int_Tables_number 1
loop_
_symmetry_equiv_pos_as_xyz
'x,y,z'
loop_
_atom_site_label
_atom_site_type_symbol
_atom_site_fract_x
_atom_site_fract_y
_atom_site_fract_z
Pm1 Pm 0.500 0.500 0.500
Se1 Se 0.750 0.750 0.750
Nd1 Nd 0.000 0.000 0.000
Cl1 Cl 0.250 0.250 0.250

=====

2.
# Ce3Th4PaP8 PBE-GGA relaxed
# DOS at the Fermi energy: 16.16 states/eV per cell
# formation energy: -1.51 eV/atom
# SG: R-3m
data_Ce3Th4PaP8
_chemical_formula_sum 'Ce3 Th4 Pa1 P8'
_cell_length_a 8.208
_cell_length_b 8.184
_cell_length_c 8.208
_cell_angle_alpha 120.10
_cell_angle_beta 120.00
_cell_angle_gamma 90.00
_symmetry_space_group_name_H-M 'P 1'
_symmetry_Int_Tables_number 1
loop_
_symmetry_equiv_pos_as_xyz
'x,y,z'
loop_
_atom_site_label
_atom_site_type_symbol
_atom_site_fract_x
_atom_site_fract_y
_atom_site_fract_z
Pa1 Pa 0.000 0.500 0.000
P1 P 0.752 0.742 0.997
P2 P 0.245 0.742 0.490
P3 P 0.755 0.258 0.003
P4 P 0.748 0.745 0.497
P5 P 0.755 0.258 0.510
P6 P 0.248 0.258 0.003
P7 P 0.245 0.742 0.997
P8 P 0.252 0.255 0.503
Ce1 Ce 0.500 0.500 0.000
Ce2 Ce 0.500 0.500 0.500
Ce3 Ce 0.000 0.500 0.500
Th1 Th 0.500 0.000 0.500
Th2 Th 0.000 0.000 0.000
Th3 Th 0.500 0.000 0.000
Th4 Th 0.000 0.000 0.500

=====

3.
# Ac3Cd6Sn5 PBE-GGA relaxed
# DOS at the Fermi energy: 8.75 states/eV per cell
# formation energy: -0.39 eV/atom
# SG: Pmmn
data_Ac3Cd6Sn5
_chemical_formula_sum 'Ac6 Cd12 Sn10'
_cell_length_a 4.799
_cell_length_b 11.465
_cell_length_c 14.292
_cell_angle_alpha 90.00
_cell_angle_beta 90.00
_cell_angle_gamma 90.00
_symmetry_space_group_name_H-M 'P 1'
_symmetry_Int_Tables_number 1
loop_
_symmetry_equiv_pos_as_xyz
'x,y,z'
loop_
_atom_site_label
_atom_site_type_symbol
_atom_site_fract_x
_atom_site_fract_y
_atom_site_fract_z
Cd1 Cd 0.000 0.027 0.500
Cd2 Cd 0.000 0.984 0.852
Cd3 Cd 0.500 0.973 0.000
Cd4 Cd 0.500 0.016 0.648
Cd5 Cd 0.500 0.383 0.839
Cd6 Cd 0.500 0.016 0.352
Cd7 Cd 0.500 0.383 0.161
Cd8 Cd 0.000 0.617 0.661
Cd9 Cd 0.000 0.984 0.148
Cd10 Cd 0.500 0.543 0.000
Cd11 Cd 0.000 0.457 0.500
Cd12 Cd 0.000 0.617 0.339
Ac1 Ac 0.000 0.250 0.323
Ac2 Ac 0.000 0.253 0.000
Ac3 Ac 0.500 0.750 0.177
Ac4 Ac 0.500 0.750 0.823
Ac5 Ac 0.000 0.250 0.677
- - -
End of the records of crystals:
“Narrow windrow burning seems to be very effective, but it requires a huge labour unit investment prior to seeding to burn such large areas of the property.
“Interestingly, after pulling back on this strategy for a few years, we noticed the weeds were creeping back into the paddocks, and so now we use chaff lining to keep hitting the weed seeds after harvest, but without that huge labour component required to burn windrows in autumn.”
In the next few years, the Weirs will consider investing in an integrated mechanical seed mill to destroy the weed seeds at harvest time.
Rotations and varieties
Another significant change to the Weirs’ system over the past two decades has been the introduction of higher percentages of canola, including triazine-tolerant and genetically modified varieties, and a subsequent reduced reliance on a lupin/wheat rotation.
This has allowed the business to get a jump on wild radish, which was proving difficult with lupins in every paddock every two years. Clearfield® wheat and canola varieties also allow the business to have greater brome grass control.
“We are using every tool at our disposal to aggressively attack the weeds,” Brendan says.
The blow-out
However, it has not been all smooth sailing – with a wind erosion event creating havoc in 2018, destroying large areas of a sown canola crop in the focus “gravel pit” paddock.
With parcels of the more sandy soils within this paddock being completely exposed after the wind storm, Brendan made the tough decision to turn off the sprayer in these areas to ensure some ground cover over the paddock.
“As you would expect, we had a blow-out of both grasses and radish in these areas, and we had no canola yield whatsoever,” he says.
“To deal with this, we harvested those parts of the paddocks and burnt everything we took off these areas in the hope that we would capture as many of the weed seeds as possible.
“While those particular areas are not back to zero plant numbers yet, it did prove to be a good strategy and I am confident, given what we have achieved in the past, we will have it under control in the next year or so.”
This example illustrates that in just one year – and just one event – weeds can get the jump on even the best weed control strategy.
The survey
For WeedSmart’s Peter Newman, who has been overseeing the study since its inception in 2001 with assistance from the Department of Primary Industries and Regional Development (DPIRD), the evolution of farming practices has been a clear theme among all the growers involved.
“When we started this project in 2001, only 50 per cent of paddocks had a pre-emergent grass spray, but within 10 years everyone involved was using a pre-emergent grass spray in every paddock, every year,” Mr Newman says.
“We have also seen a big reduction in reliance on the lupin/wheat rotation and, now with the introduction of canola into the system, some growers are only needing to rely on lupins once every six years, which has afforded them many more weed control options.”
WeedSmart's Peter Newman has been overseeing the paddock survey since its inception in 2021. Photo: Evan Collis
Mr Newman says the survey has highlighted the need for growers to take a long-term systems approach to weed management, rather than a reactive, single-year management style.
“We are now being more proactive and taking this longer-term view of the impact of weeds on business profitability, which has been a positive change in our management style,” he says.
“These growers are no longer thinking in one-year bursts but are acknowledging that sometimes you have to take a once-off hit in a certain season to see longer-term results.”
He says the willingness of growers to share management strategies and data with their peers – and with the broader industry – has been the real value of the project.
At the end of the 1990s, he says, growers in the region had lost confidence in their ability to have a future in continuous cropping programs.
“I remember sitting among these growers and discussing the very real possibility of having to return large areas of this country back to sheep, because we thought there may no longer be a future in continuous cropping simply of weed numbers.”
20 years of smart and aggressive weed management strategies, using multiple modes of action pre and post-seeding, plus the addition of harvest weed seed control measures, have given the growers the confidence to continuing cropping.
These growers are no longer thinking in one-year bursts but are acknowledging that sometimes you have to take a once-off hit in a certain season to see longer-term results.
He says innovative growers in this part of the country have been first adopters of various new technologies and strategies to get on top of weed problems.
As a result, growers have turned almost-uncroppable paddocks into clean, productive and very profitable parcels of land.
Mr Newman says growers have acknowledged the value in mixing up management strategies as a way to keep one step ahead of weeds every year.
“To me, this complete change in confidence levels, particularly among those growers involved in the survey, is a testament to the real value of this project,” he says.
“You can talk about how much money you can make by investing in diverse weed management, but the ultimate measure of the success of this program is that, very simply, these growers can keep cropping for the long term.
“The weeds are no longer calling the shots – the growers are back in control.”